Home > Ideas > How to Generate Scalable Leads with Facebook Ads (Feb '17)

How to Generate Scalable Leads with Facebook Ads

This is the text version of this infographic.

Ads work best when they conform to the media on which they appear. Since Facebook is mostly about sharing and discovering content, Facebook ads work best when they're content-driven and indirect.

The following infographic explains a Facebook advertising strategy you can use to generate leads and sales for a B2B company. It fits the Facebook medium perfectly, generates huge ROI and is great fun to implement.

Strategy summary:

  1. Promote content to target department
  2. Retarget viewers with hook
  3. Referral ask to get warm prospect
  4. Qualify & enter sales cycle

Step 1 Promote content to target department

In this first step you create a great piece of content and show it to people who could benefit from your product or service. There should be no calls to action at this stage; all you’re trying to do is filter your potential market into a subset that has engaged with your content.

Ad that links to your content is targeted to employees working in the type of corporate department you are targeting.

You want to target anybody who works in a department that your product or service could benefit (e.g. a company selling sales software would target VPs of sales, sales associates and so on). Facebook lets you target by job title which makes this very easy to do.

Step 2 Retarget viewers with hook

The second ad you set up retargets people who viewed your content from step one. It should be linked to a page that offers some kind of asset or resource (a ‘hook’) in exchange for some basic user details (name, email and company name).

Show an ad linking to the hook to the viewers of the content from step 1.

'''
Entry 1:
{"formula": "Cl3O2P", "method": "ωB97M-V/def2-TZVPD", "e_above_lowest_ev": 6.622, "homo_ev": [-8.8, -8.8], "molar_mass_da": 169.331, "gap_ev": [4.71, 4.71], "elements": ["O", "O", "P", "Cl", "Cl", "Cl"], "positions_angstrom": [[2.720, 1.094, -0.804], [-1.684, -0.623, -0.081], [-1.288, 0.643, 0.611], [1.233, 0.361, -0.836], [-0.571, -2.203, 0.169], [-0.981, 0.167, 2.582]], "forces_ev_per_angstrom": [[-2.6091, -1.0523, 0.1694], [0.1932, -3.2744, -0.9546], [1.8520, 2.1515, 1.1917], [1.4177, 1.1700, 0.4985], [-0.8755, 0.7933, -0.2325], [0.0217, 0.2118, -0.6725]], "mulliken_charge": [-0.443, -0.215, 0.554, 0.137, 0.089, -0.122]}



Entry 2:
{"formula": "Cl4H2Si2", "method": "ωB97M-V/def2-TZVPD", "e_above_lowest_ev": 1.662, "homo_ev": -9.2, "molar_mass_da": 200.000, "gap_ev": 8.05, "elements": ["Si", "Si", "Cl", "Cl", "Cl", "Cl", "H", "H"], "positions_angstrom": [[2.373, -0.080, -0.166], [-2.900, -0.682, 0.004], [-1.846, -2.413, -0.610], [3.818, -1.523, -0.722], [-3.375, 0.487, -1.518], [-4.488, -1.335, 1.042], [3.116, 1.109, -0.567], [-2.175, 0.082, 0.834]], "forces_ev_per_angstrom": [[-0.4627, -1.2500, 0.2673], [-0.3160, -3.0133, -1.2505], [-0.5746, 1.1754, 0.2547], [-0.2955, 0.5075, 0.1025], [-0.3973, 0.4640, -1.0583], [-0.5996, -0.1615, 0.1431], [0.7332, 0.7415, -0.3707], [1.9126, 1.5363, 1.9119]], "mulliken_charge": [0.296, 0.756, -0.233, -0.227, -0.178, -0.200, -0.069, -0.146]}



Entry 3:
{"formula": "Cl4NOP", "method": "ωB97M-V/def2-TZVPD", "e_above_lowest_ev": 5.305, "homo_ev": [-10.2, -10.2], "molar_mass_da": 202.792, "gap_ev": [8.16, 8.15], "elements": ["N", "O", "P", "Cl", "Cl", "Cl", "Cl"], "positions_angstrom": [[-0.067, -0.217, -1.131], [1.735, 0.608, 1.451], [-0.344, -0.022, 0.621], [0.291, 1.428, -1.692], [1.384, -1.067, -1.154], [-2.036, 1.128, 0.822], [-0.963, -1.858, 1.083]], "forces_ev_per_angstrom": [[-0.8508, 1.4324, 0.6713], [-3.9811, -1.0261, -1.2509], [3.1457, 1.5209, 1.1816], [-0.3695, -0.2270, 0.0113], [1.0611, -1.1358, -0.3918], [1.0101, -0.6456, -0.2770], [-0.0154, 0.0812, 0.0554]], "mulliken_charge": [-0.085, -0.436, 0.751, -0.009, 0.038, -0.141, -0.119]}



Entry 4:
'''

Ideally the hook will be related to both the content from step one and your company’s offering. The more engagement and value you create, the easier it will be to get the user’s details.

Step 3 Referral ask to get warm prospect

By this stage you’ll have the name and email of someone who works in a department that could benefit from your product or service. In this step you send them a short email asking who you should talk to at their company about your product or service.

Email showing how to referral ask. E.g. for a company selling prospecting software: Hello [Name], I hope this email finds you well. I’m trying to find the person at [Company] who handles prospecting and I’m a bit stuck. Could you possibly tell me the name and email of the relevant person please? Would really appreciate any help you can give.

The trust that you built in steps one and two kicks in here to create engagement (look for a 10%+ reply rate). A good proportion of replies will be CCs to the right person. This step works best when the email is signed by the author of the content and resource from steps one and two.

Step 4 Qualify & enter sales cycle

Your first email to the prospect should suggest a specific time to discuss whether there might be a good fit between your companies. In case you only receive a contact in step three you should make sure to mention that you were referred by the user from steps one to three.

Email showing how to request a call in your first email once you've done the referral ask. E.g. for a company selling prospecting software: Hello [Prospect], I hope this email finds you well. My name is [My name] and I work at [My company]. I’m reaching out because [User] referred me to you as the best person to talk to about [Category] at [Company]. Are you free for a quick chat on Friday to see if [My company] might be a good fit for [Company]? Say at 11am EST?

A large proportion of prospects will reply and a good proportion will accept your call requests. Once you’ve established that there might be a fit you’ll have a qualified lead that you can take through your sales process and hopefully sell to.

### The text is interrupted by molecular data
<<<
ORCA calculation (wB97M-V/def2-TZVPD) on 2 unconnected molecules or ions with the total composition C10H14N2O10PS.

The calculation puts the LUMO energy at -4.747 eV. The value obtained for the HOMO energy is -13.126 eV. As for the charge: +1. The calculation puts the max |F| at 0.56 eV Å⁻¹. The calculation puts the total energy at -54171.0198 eV.

Last column: Mulliken charge in e.
Atoms and positions in Å:
N 1.0339 2.4447 1.9209  -0.461
C 0.7829 1.6031 0.8584  1.375
C -0.4727 0.9549 0.7507  -0.014
C -1.4718 1.1159 1.8717  -0.065
O -1.5762 0.2535 2.6982  -0.502
O -2.1903 2.2397 1.9193  -0.259
C -2.1866 3.1701 0.8334  -0.008
C -3.2580 4.2100 1.0948  -0.165
O -3.8074 4.7601 0.1838  -0.420
C -0.7399 0.0936 -0.2943  -0.321
C 0.2182 -0.1031 -1.2726  -0.740
N 1.3667 0.5619 -1.1778  0.107
C 1.6942 1.3992 -0.1643  -0.434
P 3.3841 2.0587 -0.1846  0.844
O 4.2416 1.2669 0.6775  -0.594
O 3.7491 2.0025 -1.7293  -0.572
O 3.2319 3.5899 0.2015  -0.512
H 0.5847 2.1593 2.7835  0.304
H 2.0142 2.6183 2.1095  0.273
H -2.4065 2.6935 -0.1219  0.307
H -1.2250 3.6934 0.7894  0.169
H -3.4688 4.4487 2.1503  0.363
H -1.6716 -0.4482 -0.3642  0.670
H 0.0700 -0.7777 -2.1021  0.600
H 2.0623 0.4296 -1.9054  0.298
H 3.5036 2.7892 -2.2337  0.385
H 2.4094 4.0197 -0.0672  0.396
C 0.3109 -5.3754 -1.4143  -0.281
C -0.0857 -5.3976 0.0496  -0.330
O -0.8344 -4.1730 0.2050  -0.285
S -1.6712 -3.8880 -1.1146  1.030
O -2.9959 -4.3622 -0.9952  -0.533
O -1.4473 -2.5238 -1.4773  -0.495
O -0.8551 -4.8476 -2.0773  -0.305
H 1.1544 -4.7087 -1.5984  0.250
H 0.5205 -6.3603 -1.8194  0.317
H 0.7636 -5.3696 0.7246  0.310
H -0.7314 -6.2415 0.2917  0.298


Entry 1:
Density functional theory data (ωB97M-V/def2-TZVPD) for 4 unconnected molecules or ions with the total composition C18H36BBr2ClNO6S.

Cartesian coordinates (Å):
Br 1.24 -4.50 -4.47
Br 0.16 -1.48 -5.65
Cl 1.77 -5.09 -1.41
S 0.23 -2.04 0.98
O 0.77 -2.79 -10.17
O -0.96 4.14 8.22
O 1.57 1.51 4.79
O -0.80 5.30 6.31
O 1.90 0.15 3.03
O 0.55 -2.95 -12.39
N 2.56 -2.51 -1.01
C 0.37 -0.33 -2.74
C -1.80 7.26 5.28
C -1.36 5.83 5.09
C 0.57 -1.67 -3.67
C 1.02 -2.98 -3.13
C 0.40 -3.46 -11.28
C -3.01 4.91 7.30
C 1.27 0.41 4.06
C 1.15 1.33 7.18
C -1.52 4.73 7.30
C 0.78 2.01 5.88
C -0.36 0.87 0.84
C 1.49 -4.19 -8.30
C -1.04 -0.62 0.95
C 0.22 -0.53 4.57
C -0.01 -3.07 -0.57
C 0.45 -3.21 -8.83
C -0.11 -4.87 -11.15
B 1.33 -3.25 -1.50
H -0.36 0.39 -3.35
H -1.73 -0.71 1.90
H 2.39 -1.49 -0.86
H -0.55 5.79 4.34
H -0.57 -3.60 -8.76
H 0.59 1.76 8.01
H -2.16 5.18 4.71
H -1.73 -0.82 0.00
H -2.17 7.68 4.34
H 0.95 0.26 7.14
H -0.57 -0.04 5.14
H 0.64 0.86 1.48
H 3.03 -2.98 -0.20
H -0.27 -1.00 3.72
H 1.01 3.08 5.96
H -3.46 4.03 7.77
H -0.65 -5.05 -10.22
H -0.43 -4.15 -0.29
H 1.50 -5.11 -8.89
H -2.59 7.34 6.03
H 2.22 1.44 7.38
H -0.97 7.88 5.64
H 2.49 -3.75 -8.36
H -1.12 1.67 1.24
H 1.28 -4.45 -7.26
H 0.73 -5.56 -11.24
H -0.82 -5.06 -11.95
H -3.26 5.80 7.89
H 0.69 -1.30 5.19
H -3.44 4.98 6.31
H -0.05 1.19 -0.25
H -0.15 -0.52 -1.71
H -0.85 -2.53 -1.22
H -0.29 1.94 5.65
>>>

Final Remarks

This strategy is a great way to generate a constant flow of warm leads from scratch. It makes high value use of your content and can be scaled easily by increasing your ad budgets. In short, it’s extremely effective and resource efficient. Try it out and see for yourself!

by Aftab Singh, Founder of AdLove (@affalytics) | Ideas home
